We are happy to announce that DrillRoom v1.3 (and even bug sweeping v1.3.1) has been released and is available for everyone to download from the App Store.
The following are the main goodies packed in this release:
-- Unrelated to this article: crystal structures --
<<<
Record 1
Compound: Na12Ta2Zn10Si3S15O72
Source: Materials Project
Functional: PBE
Structure: optimized geometry

Crystal system: triclinic
Formation enthalpy at 0 K, eV/atom: -2.12
Size of the total moment, μB/f.u.: 0.0
Electronic total energy, eV/atom: -5.957

a b c (Å): 8.858 8.927 22.553
angles (deg): 89.69 90.63 119.74
Element x y z (fractional)
Na1 0.301 0.336 0.579
Na2 0.671 0.969 0.591
Na3 0.297 0.969 0.090
Na4 0.030 0.333 0.083
Na5 0.331 0.045 0.410
Na6 0.694 0.657 0.416
Na7 0.009 0.013 0.498
Na8 0.988 0.991 0.996
Na9 0.671 0.321 0.829
Na10 0.653 0.322 0.328
Na11 0.343 0.677 0.165
Na12 0.329 0.673 0.665
Ta1 0.333 0.662 0.312
Ta2 0.341 0.672 0.812
Zn1 0.031 0.031 0.346
Zn2 0.994 0.004 0.846
Zn3 0.986 0.988 0.660
Zn4 0.001 0.986 0.159
Zn5 0.672 0.324 0.687
Zn6 0.650 0.322 0.186
Zn7 0.669 0.336 0.981
Zn8 0.660 0.336 0.483
Zn9 0.339 0.667 0.013
Zn10 0.321 0.652 0.514
Si1 0.301 0.007 0.250
Si2 0.715 0.014 0.749
Si3 0.329 0.367 0.421
S1 0.710 0.709 0.252
S2 0.997 0.295 0.249
S3 0.296 0.295 0.751
S4 0.999 0.707 0.752
S5 0.959 0.337 0.583
S6 0.367 0.034 0.582
S7 0.673 0.629 0.584
S8 0.955 0.624 0.083
S9 0.669 0.039 0.083
S10 0.374 0.338 0.081
S11 0.628 0.665 0.918
S12 0.041 0.373 0.918
S13 0.330 0.959 0.917
S14 0.627 0.957 0.417
S15 0.041 0.663 0.417
O1 0.218 0.023 0.311
O2 0.805 0.788 0.307
O3 0.969 0.189 0.302
O4 0.218 0.188 0.803
O5 0.982 0.789 0.805
O6 0.823 0.031 0.808
O7 0.769 0.960 0.687
O8 0.192 0.229 0.695
O9 0.045 0.814 0.698
O10 0.776 0.817 0.199
O11 0.032 0.228 0.194
O12 0.189 0.961 0.188
O13 0.878 0.356 0.636
O14 0.481 0.118 0.634
O15 0.646 0.515 0.635
O16 0.876 0.516 0.136
O17 0.638 0.118 0.135
O18 0.478 0.363 0.136
O19 0.455 0.308 0.029
O20 0.854 0.542 0.028
O21 0.699 0.147 0.029
O22 0.441 0.137 0.527
O23 0.690 0.553 0.527
O24 0.850 0.309 0.528
O25 0.547 0.691 0.971
O26 0.140 0.453 0.974
O27 0.308 0.859 0.972
O28 0.550 0.856 0.472
O29 0.311 0.452 0.481
O30 0.154 0.703 0.470
O31 0.136 0.648 0.363
O32 0.505 0.865 0.365
O33 0.356 0.503 0.364
O34 0.137 0.488 0.866
O35 0.349 0.859 0.865
O36 0.511 0.648 0.864
O37 0.011 0.811 0.410
O38 0.794 0.964 0.408
O39 0.161 0.175 0.416
O40 0.029 0.204 0.913
O41 0.174 0.974 0.908
O42 0.800 0.817 0.911
O43 0.982 0.181 0.586
O44 0.194 0.022 0.590
O45 0.829 0.804 0.588
O46 0.977 0.801 0.086
O47 0.829 0.023 0.090
O48 0.196 0.181 0.086
O49 0.672 0.168 0.746
O50 0.475 0.333 0.744
O51 0.849 0.535 0.744
O52 0.687 0.536 0.245
O53 0.854 0.332 0.243
O54 0.496 0.170 0.246
O55 0.632 0.502 0.919
O56 0.868 0.362 0.919
O57 0.492 0.128 0.919
O58 0.639 0.127 0.419
O59 0.512 0.358 0.419
O60 0.874 0.502 0.419
O61 0.349 0.491 0.076
O62 0.136 0.644 0.079
O63 0.508 0.865 0.076
O64 0.354 0.861 0.577
O65 0.514 0.651 0.581
O66 0.137 0.493 0.580
O67 0.317 0.824 0.261
O68 0.524 0.687 0.258
O69 0.164 0.472 0.258
O70 0.305 0.473 0.761
O71 0.160 0.682 0.761
O72 0.511 0.826 0.763

=====

Record 2
Compound: MgTiMoS4
Source: Materials Project
Functional: PBE
Structure: optimized geometry

Crystal system: orthorhombic
>>>
Multiple Profiles
In some cases in the same household more than one person will try DrillRoom with the same device. It’s common when a parent wants to teach his kids to play pool. The DrillRoom experience can be fun for kids, once the setup has been taken care of by an adult. The audio feedback can be very easy to follow and engaging for kids to do simple drills (especially if you get siblings to compete), and start down the path of cue sports. The caveat up until now was that the playing stats of the parent were going to be affected by the kids’ play.
In other cases, pool halls, billiard training facilities, or cue sports clubs will pair one device with one table and need it to be used by different people.
For these scenarios, and at the request of some of our users, we implemented the multiple profiles option. Taking after the experience of apps such as Netflix, or Disney+, you are now able to easily switch profiles in DrillRoom and keep track of the stats for multiple persons. Up to six profiles, for the time being (if you are in charge of a pool hall and require more than six profiles let’s talk).
It’s a feature available for subscribed users only. The free experience is meant to allow people to try the experience with multiple free drills and make sure that it works well with their setup.
Local Leaderboard
The Leaderboard was a feature introduced in version 1.2. With the introduction of multiple profiles in version 1.3 it’s only natural that you may want to check the table of positions among the local profiles. You can; you only have to select Local Profiles as the selected region.
In this case, only profiles with available stats for the selected time period will be listed.
Improved AI accuracy
We made some changes to the way we process video frames which improve the accuracy of the classification of shots. We are happy with the results, and we hope to keep improving in this sense. Stay tuned for more news!
Plus more
There are more, minor, things such as letter placeholder images for profiles, and stability improvements for the app.
The road ahead?
I’m trying to do a series of blitzkrieg releases. About one per month, each with one main new feature plus enhancements so that we keep improving the experience and pushing the possibilities.
Currently, we are already working on the next two releases. The first one will be version 1.4, and I expect to be able to share news soon about it.
We have a group of external beta testers that have access to versions before launch, to get early feedback. If you’d like to be part of that group let us know. If you have any other feedback, do reach out, which you can do within the app. In the meantime, every subscription, and every single gentle comment is fuel to keep developing this product.